
One of the constant supplies for Jon Stewarts “self-skewering” stories on the Daily Show is Fox News where it is ridiculously easy to catch the network lying, prevaricating and otherwise speaking falsehoods with unbridled carelessness. See the Nazi Icons spoof or the many roastings of Glen Beck. Well I was surprised to see the same jaundiced journalism show up in one of my favorite Web 2.0 websites, Mashables. Here is Christina Warren telling us that Apple Didn’t kill Flash, HTML 5 Did:

H.264 Rules Web Video, Not Flash

For most end-users, the debate over Flash is largely a debate about web video. Yes, Flash is used in other ways — for web-based games and ever-decreasingly in website design — but thanks in large part to YouTube , Flash is most commonly associated with web video.

In his letter, Steve Jobs highlights a point that I have made myself on many occasions: Web video is overwhelmingly encoded in H.264. Not only is the H.264 codec the default encoding setting for practically every video service online, it is also by and large the default codec for raw video from digital video cameras….

Flash on Mobile Has Issues


Even on Intel’s Atom platform, Flash has issues. This is why playing back fullscreen Hulu or HD YouTube clips is often painful on a netbook (even an ION or Tegra netbook). Again, Flash 10.1 is supposed to bring hardware acceleration that will make those types of processors handle video in more robust ways, but frankly, when there are still longstanding issues with Flash on x86 computers, how can we expect the transition to mobile to be problem free?

Attached: data records =
+++
# 1
Molecular formula: C24H33N3P2Ru
Method: DFT, wB97M-V/def2-TZVPD

Output
gap between HOMO and LUMO (spin up / spin down) = 6.44 / 5.65 eV
max |F| = 0.07070 Eh/bohr
E_LUMO (spin up / spin down) = -1.79 / -5.42 eV

ORCA input file:
```
! RIJCOSX wB97M-V def2-TZVPD def2/J DEFGRID3
* xyz 1 6
C 0.717 0.848 -4.720
C 1.103 0.795 -3.383
C 0.807 1.898 -2.547
C 0.109 3.039 -3.057
C -0.244 3.056 -4.435
C 0.052 1.975 -5.245
C -0.253 4.018 -2.127
C 0.205 4.009 -0.805
C 0.933 2.851 -0.385
C 1.379 2.717 0.953
C 1.041 3.709 1.870
C 0.324 4.856 1.470
C -0.072 5.018 0.157
H 0.940 -0.005 -5.364
H -0.767 3.929 -4.829
H -0.233 1.975 -6.302
H -0.789 4.893 -2.481
H 1.338 3.589 2.912
H 0.081 5.616 2.218
H -0.622 5.903 -0.168
N 0.965 1.753 -1.196
Ru -0.535 -0.622 0.012
C 1.720 -0.404 -2.724
H 2.441 -0.077 -1.960
H 2.199 -1.053 -3.466
C 2.097 1.442 1.314
H 2.741 1.127 0.479
H 2.686 1.579 2.231
P 0.459 -1.419 -1.777
P 0.928 0.017 1.573
C 0.173 0.516 3.161
H -0.468 -0.291 3.541
H 0.958 0.741 3.899
H -0.446 1.408 3.002
C 2.053 -1.338 2.024
H 2.668 -1.043 2.885
H 1.457 -2.220 2.283
H 2.695 -1.577 1.169
C -0.584 -1.998 -3.168
H 0.026 -2.446 -3.965
H -1.289 -2.739 -2.769
H -1.159 -1.149 -3.559
C 1.517 -2.882 -1.477
H 0.909 -3.696 -1.065
H 1.969 -3.207 -2.424
H 2.305 -2.628 -0.757
H -0.640 0.887 -0.726
H -1.554 -1.384 -0.964
C -3.622 -1.946 4.533
C -2.767 -2.276 3.377
C -2.175 -3.457 2.984
C -1.443 -3.198 1.808
N -1.588 -1.887 1.483
N -2.393 -1.358 2.456
C -0.627 -4.159 1.039
H -4.544 -2.545 4.505
H -3.099 -2.193 5.471
H -3.894 -0.895 4.547
H -2.234 -4.415 3.486
H -2.689 -0.383 2.443
H 0.448 -3.927 1.108
H -0.776 -5.164 1.472
H -0.936 -4.181 -0.017
*
```

# 2
Molecular formula: C24H33N5O3
Method: DFT, wB97M-V/def2-TZVPD

Output
gap between HOMO and LUMO = 9.27 eV
ΔE to the lowest compared entry with this formula, charge and spin = 14.0 kJ/mol
max |F| = 0.02937 Eh/bohr
E_LUMO = 0.61 eV

ORCA input file:
```
! RIJCOSX wB97M-V def2-TZVPD def2/J DEFGRID3
* xyz 0 1
C -3.828 -1.011 -2.466
C -2.727 -1.963 -2.013
C -2.007 -1.495 -0.742
C -2.485 -2.197 0.541
C -3.921 -1.863 0.914
N -1.619 -1.815 1.642
C -0.448 -2.427 1.886
O -0.072 -3.433 1.328
C 0.401 -1.703 2.950
N 0.886 -0.435 2.414
C 2.152 -0.459 1.810
O 2.859 -1.446 1.834
C 2.453 0.799 1.196
C 1.600 1.890 1.266
N 2.118 2.941 0.595
C 3.263 2.496 0.118
N 3.522 1.218 0.442
C 4.657 0.419 0.051
C 4.731 0.180 -1.461
C 3.714 -0.809 -2.054
C 2.274 -0.300 -1.988
C 3.817 -2.193 -1.417
N 0.423 1.831 1.945
C -0.501 2.959 1.940
C -1.524 2.785 0.846
C -2.808 2.347 1.137
C -3.731 2.171 0.120
C -3.374 2.425 -1.194
C -2.087 2.842 -1.491
C -1.164 3.021 -0.475
C 0.026 0.648 2.508
O -1.049 0.553 3.077
H -3.403 -0.040 -2.711
H -4.324 -1.402 -3.352
H -4.574 -0.870 -1.690
H -3.144 -2.958 -1.847
H -2.000 -2.052 -2.823
H -2.122 -0.414 -0.624
H -0.940 -1.709 -0.834
H -2.366 -3.279 0.411
H -4.044 -0.785 0.997
H -4.608 -2.242 0.164
H -4.172 -2.318 1.870
H -1.843 -0.963 2.141
H -0.191 -1.506 3.845
H 1.272 -2.319 3.179
H 3.927 3.101 -0.467
+++
Here the piece continues =

This isn’t to say Flash couldn’t become a killer, hardware optimized superb mobile platform — but at this stage, everything that Flash is so good at doing on the desktop isn’t happening with Flash on mobile devices. Rather than defend Flash’s performance on mobile devices with words, I’d much rather have Adobe actually release working products that show off why the technology can work well across platforms, including mobile.

One Size Never Fits All

It’s nice to get caught up in the fantasy of building an application that can be deployed on any type of device and work the same way across the board. Sun Microsystems called this “write once, run anywhere,” and it was the defacto slogan for Java. However, as anyone who has ever actually written for Java knows, the differences in Java virtual machines (JVM) means that that in practice, it can often take more time to try to debug a solution and get it working on another platform than it would to just write it natively for that platform.

Web applications are actually the closest example of “write once, run anywhere” actually working. Even then, browsers still need to be optimized for specific platforms in order to run applications built using web languages. This is one reason why native application building for smartphones has become so popular: native applications usually offer a better experience than simply using the web.

It’s fine to aspire for solutions that will work well across a variety of platforms, but users need to continue to be aware of the technological realities that prevent that from happening. If nothing else, the Apple-Adobe debate highlights that computer software — web based or otherwise — is not one size fits all.

Now no one will argue the point that Christina makes at the outset “Unsurprisingly, the arguments from both parties [Apple and Adobe] are self-serving in parts and gloss over some realities.” And I will agree that  Apple is trying to make this  feud center around Flash video. But that is the very “glossing over realities” that makes this post so bad.Apple and Steve Jobs wants it to be over video because that is where Flash’s performance drags the most. But that is Apple induced because until March of this year, Apple did not make available the Mac OS/X graphics hardware APIs to all  software vendors. In contrast, Windows did – and there are not any complaints about Flash’s video performance on the Windows X86-based  platforms. Unfortunately this was the start of numerous glossing over realities by Ms. Warren.

Reality Gloss

First and foremost reality gloss – Flash is much more than video.  Flash delivers programmable multimedia with better features and better performance [both size and speed of runtime]  than any other vendor. And Flash manages to do this on more platforms than any other software vendor. Programmed multimedia experiences which includes video, audio, bitmap,  vector graphics, and a wide array of fonts and font-types is the name of the Flash game. Microsoft Silverlight, lead by former Flash developers, is the only software that comes close to matching features and performance  of Flash. But Silverlight is a)proprietary and closed API;  b)does not run on all platforms with equivalent capabilities and features; and c)has a full set of development tools only available on Microsoft Windows Vista and 7 [so sad for  Windows XP developers where early versions of  Silverlight runs fastest]. For example, Mono-based Moonlight, the Linux version of Silverlight, is about 1 1/2 versions behind Windows  Silverlight in features and performance. But the key point is that Ms. Warren allows the Apple slide – because performance of Flash video alone has not matched all expectations, Apple and Steve Jobs are allowed to condemn the complete Flash platform. Just awful reporting.

Second reality gloss –  H.264 is not where the action is in video – WebM and Google’s VP8 is the latest. Ms Warren concedes that Flash supports H.264 but does not mention WebM/VP8 and the fact that Adobe Flash  is committed to support WebM as well. What Ms. Warren also  fails to note is that Apple is the only hold out on VP8/WebM for its iDevices and for the Safari Web browser. Finally, Ms. Warren also omits the crucial fact that H.264 and its MPEG-based APIs switches over from a free API to a payment system in 2015. Google VP8 free and open versus H.264 will have to be paid for is simply not mentioned. Nice slip-sliding through the realities.

Third reality gloss – “there are still longstanding issues with Flash on x86 computers” overlooks the fact that those issues are related to availability of  graphics  accelaerator APIs have been unavailable until this Spring on Macs. Ooops.

Fourth reality gloss – Java trashing. Yes, Microsoft’s JVM on the client and WebLogic’s Rockit JVM on its Web servers are the two most notable JVM departures. After that IBM, Sybase, Tibco, SAS, Lawson plus dozens of other major and minor software vendors including  Oracle outside of its WebLogic subsidiary have managed to stick pretty darn close to the both the server side and client-sde JVMs. Granted there are many competing specific GUI  Java APIs and framewoks on the client side – but take a glance at the same issue for Windows and Mac OSX. But the key is that once it is delivered as bytecode Java works even better as a cross platform API than Flash[more hardware+OS platforms than Flash]. But then Ms. Warren mouths the Apple-line => “it can often take more time to try to debug a solution and get it working on another platform than it would to just write it natively for that platform”. This is balderdash.

Fifth reality gloss – “Web applications are actually the closest example of ‘write once, run anywhere’ actually working.What development planet is Ms. Warren from? 15-30% of  all Web code has to be rewritten with special hacks and JavaScripting to make it work properly in IE6 thru IE8 browsers. The new IE9 still score less than 70% on the Acid 3 tests [leave alone the full W3C HTML, DOM and CSS compliance tests].  Not all browsers support W3C and other Web standards including Chrome, IE, and Safari as main transgressors.  Look at XForms, E4X, and XSL/XSLT for missing-link  starters.

And then, Ms. Warren falls for Steve Jobs HTML5 straw dog completely. HTML5 already has Apple’s discord on video codecs.  Add to that Apple and every-browser-body-else  is doingtheir own thing on the crucial multi-touch and gestures semantics/no-standards. Finally, in addition to the lack of key standards, there is absolutely no software vendor delivering HTML5 development tools. Not Adobe Dreamweaver CS5, not Activestate Komodo, not Aptana Studio, not Eclipse Web, not Netbeans – NOBODY! So Steve says HTML5 is the now standard for mobile development and Ms. Warren chomps on it – hook, line and stinker.

Sixth reality gloss –  “If nothing else, the Apple-Adobe debate highlights that computer software — web based or otherwise — is not one size fits all.” This is Apple code language – so Ms. Warren may not know what she is saying. In effect, code generators like the Flash cross compiler and dozens of other apps are  Verboten/Forbidden as iMobile development tools. See – only Apple development tools and code is acceptable. “Open” HTML5 you say? It won’t be ready until 2012 at the earliest and Macrosoft will have enough closed Mac  standards to prevent any but proprietary coding on the iMobiles  such as iPhone, iPad, iPod, and iFrisku4allurworth.  Of course, Ms. Warren fails to consider that Steve Jobs would like to replace the Windows monopoly with the Apple iOS4  one. Incroyable.

The story missed so many important points one wonders if Ms Warren  failed to vet it other than at the Cupertino PR offices. But seriously, the misses in this story are so bad it sets my confidence in Mashables stories down two notches. Damn – this means whenever reading Mashables coverage I will have to take into account whose agenda is being advanced and then have to hunt down the confirming links and references if any – not good.

4 Responses

  1. I don’t have the energy to debate this criticism point by point and ultimately it won’t do any good anyway because your opinion and decision has already been made up, but I would note that you need to look at the date of my editorial. It was in April, long before WebM was officially announced with hardware support from the chipset makers (and this is the hardware support I’m discussing for Flash. The chipsets on phones, set-top boxes, media players that run any OS iOS or anything else. And keep in mind Froyo wasn’t announced when this was written either). If you want to disagree with my opinion, fine, but don’t accuse me of shitty reporting if you can’t check the published date and frame your criticism appropriately.


    1. Christina –
      Your publication date was April 29th 2010. Here are some of the 100++ stories about Google On2/VP8 that were published before that date and found easily on Google or Bing. Many of these I had been following and thus they lead to my conclusion that VP8/WebM was indeed a big deal in the video world:
      TechCrunch Google Acquires Video Compression Technology Company On2 For $106M … 5 Aug 2009
      BusinessInsider – Google’s On2 Acquisition Could Revolutionize The Video Industry – 5 Aug 2009
      Betanews – What does Google gain from having purchased On2? | Web Apps News … 22 Feb 2010
      Free Software Foundation Free Software Foundation to Google: Free the On2 video codec … 23 Feb 2010 – Google Will Open Source On2 VP8 Codec 13 Apr 2010 – Google to open-source On2 VP8 for HTML5 video –13 Apr 2010

      But my objection to your reporting is not just the omissions on video trends but also the fact that your were way off base in 3 other critical areas [and there are again plenty of reference stories available to you before your April 29th 2010 publication date] :
      1)the argument you present regarding JVMs,and whether Java can be effectively used to deliver” write once; run anywhere” is way off base;
      2)the fact that you accord ‘Web applications are actually the closest example of “write once, run anywhere” actually working‘ is also way off base. In fact Web development is very far from “write once” let alone run anywhere uniformly;
      3)by agreeing “that one size fits all” is not practical in software development; thus allowing Steve Jobs/Apple to exclude not just Flash but all code generation systems as not efficient enough on iOS4 and iDevices. Many articles and books have been written about the trade-offs of speed+agility+cross platform efficiency/integration through development automation versus proprietary, native code performance or feature advantages. Neither strategy carries the day; but without reasoning or analysis you support the Apple proprietary, native-code approach.
      By advancing this one-sided argument you allow Steve Jobs/Apple to justify a very closed/proprietary iOS4 development system. You also allow Steve to feign Open development through HTML5 when the reality is that it is 1-2 years away and Apple is holding things up.At no point in the article do you examine the implications of such a closed iOS4 ecosystem. Consumers, if they adopt Apple overwhelmingly, will be replacing a Microsoft client-side monopoly with an Apple one – with all the Vistas that may very well provide. So now when I read a Mashables story I have to say to myself – “what is missing here” or can the arguments raised be trusted or whose agenda is being advanced? I don’t watch Fox Not-Really-News except very rarely to get a read on what the GOP wants you to believe now. It would be a pity for Mashables to be vying with Fox News for the title of Most Biased Coverage.
      -Jack, editor

  2. And again, I don’t have time to get into a pxxxxg with someone who is going to repeatedly insult me and compare me to Glenn Beck (which is so off base it actually is funny). Rumors about the open sourcing of VP-8 didn’t matter when we were talking about what was actually an option and what was actually available on April 28th.

    I absolutely stand by my criticisms of Java and my utter distaste for write once run everywhere. I’m actually suffering from the flu right now so I wont go point by point, but as I said, you made your own bias clear and you made your own intentions clear in this post. My point is that it’s really easy to pick and choose your talking points when you are referencing an editorial that is six weeks old and was about the state of web video. If I regret anything about that post it was that “in mobile” wasn’t used in the headline.

    1. The problem, Christina, is that you are doing a Glen Beck – taking indefensible positions and then hoping by repeating them over and over without detailed justification or deigning to respond to salient objections to your arguments- they will stick.

      This is the real stinker and you will get no further postings here without submitting compelling arguments – and, for example, ignoring the obvious trends in video codecs easily available to you is NOT a compelling argument.